Assignment >
The reader should return only the lines underneath with the word "nH" in them.

Input >
<<<
21
Properties=species:S:1:pos:R:3:forces:R:3 method="wB97M-V/def2-TZVPD" e_above_lowest_kcal_mol=67.95 e_homo_ev=-8.754 smiles="C[Si](C)=N.C=C.N" orbital_gap_ev=9.25
C -3.470 1.498 -1.326 0.601 0.524 -0.636
C 1.868 -2.138 0.575 -0.451 -0.075 -0.102
C -1.041 -1.612 -0.291 0.970 0.306 -0.707
C -2.976 1.523 -0.093 -2.005 -2.094 0.495
N 3.666 1.444 0.338 1.641 -1.329 0.899
N 0.967 0.753 0.241 -1.891 0.107 0.947
Si 0.558 -0.838 0.229 0.769 2.442 0.363
H -2.922 2.083 -2.077 -0.632 -0.301 -0.113
H -4.377 0.896 -1.630 1.282 0.860 0.501
H 4.257 1.836 1.084 -0.249 -0.169 -0.451
H 2.053 -2.345 1.629 -0.557 -0.025 0.204
H 1.574 -3.065 0.068 0.130 0.092 0.194
H 2.846 -1.859 0.247 0.582 0.366 -0.653
H -0.997 -1.472 -1.380 -0.003 -0.484 -0.056
H -1.149 -2.655 -0.022 -0.221 -0.044 -0.003
H -1.844 -0.966 -0.034 -0.909 0.253 0.619
H -3.548 0.840 0.560 0.444 0.547 0.300
H -2.120 1.970 0.373 0.286 0.477 -0.541
H 3.375 0.512 0.685 0.601 0.560 -0.329
H 2.787 1.871 0.410 -1.316 1.090 -0.102
H 0.491 1.725 0.416 0.926 -3.105 -0.830

23
Properties=species:S:1:pos:R:3:forces:R:3 method="wB97M-V/def2-TZVPD" e_above_lowest_kcal_mol=130.32 e_homo_ev=-9.024 orbital_gap_ev=9.02
O 21.286 2.509 8.283 0.932 0.155 6.478
H 22.191 2.488 8.595 0.238 0.341 0.620
H 20.769 2.204 9.028 -0.518 0.007 0.222
O 20.700 2.688 6.262 -5.524 0.695 -2.440
H 19.877 2.256 6.486 -0.578 0.097 0.239
H 21.191 2.709 7.084 -0.811 0.220 -1.011
C 22.174 3.943 3.304 0.179 2.178 1.266
C 23.098 2.911 3.892 -1.585 0.942 -1.751
C 22.447 2.166 5.017 3.210 0.949 -0.697
O 23.503 1.395 5.635 -0.586 -0.858 1.021
C 22.996 0.828 6.838 1.007 -0.117 0.644
N 23.343 2.042 2.760 0.970 -1.498 0.598
H 21.121 3.680 3.198 0.238 -0.434 -0.127
H 22.581 4.368 2.387 -0.119 -0.413 -0.267
H 22.212 4.793 3.986 -0.461 0.395 0.200
H 24.086 3.324 4.095 -0.302 0.529 1.203
H 21.629 1.534 4.671 0.209 -0.049 -0.114
H 22.049 2.904 5.713 2.016 -0.334 -1.397
H 23.711 0.356 7.512 1.174 -0.321 -0.903
H 22.268 0.028 6.696 -0.571 0.375 -0.286
H 22.672 1.582 7.555 0.019 -0.701 -1.452
H 24.168 2.482 2.376 0.165 -0.319 -0.938
H 23.745 1.363 3.392 0.697 -1.839 -1.107

30
Properties=species:S:1:pos:R:3:forces:R:3 method="wB97M-V/def2-TZVPD" e_above_lowest_kcal_mol=78.11 e_homo_ev=-7.371 smiles=CCc1c[nH]c2ccccc12.CC orbital_gap_ev=8.21
C 2.511 0.600 2.243 -0.185 -1.773 -2.732
C 3.046 1.047 0.835 1.900 0.209 2.564
H 3.085 -0.328 2.477 -0.114 1.061 0.628
H 2.661 1.470 2.879 -0.746 -0.699 0.697
H 1.502 0.115 1.976 0.791 1.571 1.351
H 3.041 2.123 0.710 0.178 0.152 -0.021
H 4.049 0.615 0.715 -0.003 0.654 -0.120
H 2.489 0.627 0.102 -1.890 -1.201 -2.416
C -1.999 0.245 1.402 -0.498 -3.348 1.815
C -3.166 1.264 1.439 0.067 1.340 0.150
C -1.272 0.217 0.126 -1.163 5.188 -3.709
C -1.444 1.390 -0.805 2.496 -5.419 2.986
C -0.521 -0.742 -0.627 -0.956 2.385 0.005
C -0.335 -0.239 -1.943 0.869 -0.130 0.792
C 0.067 -1.881 -0.191 0.372 -3.473 -0.092
C 0.123 -1.147 -2.941 0.244 3.289 -0.955
C 0.703 -2.756 -1.128 0.124 0.738 0.223
C 0.665 -2.368 -2.539 0.331 -1.407 -0.071
N -0.658 1.143 -1.882 -0.121 -0.107 -4.275
H -1.257 0.118 2.270 -1.169 1.067 -0.809
H -2.474 -0.809 1.463 0.275 1.387 0.028
H -3.502 1.346 0.406 -0.394 -0.348 0.045
H -2.016 2.242 -0.735 -0.790 1.792 0.339
H -0.569 1.819 -2.732 -0.478 -2.016 2.189
H -0.200 -2.177 0.856 0.914 0.043 -0.939
H 0.126 -0.587 -3.994 0.285 -2.207 1.924
H 1.289 -3.659 -0.709 -1.280 1.412 -1.187
H 1.018 -3.089 -3.368 -0.429 1.229 1.663
H -2.878 2.339 1.636 0.099 -1.157 0.242
H -4.082 1.060 2.058 1.271 -0.233 -0.316

117
Properties=species:S:1:pos:R:3:forces:R:3 method="wB97M-V/def2-TZVPD" e_homo_ev=-12.444 charge=+1 orbital_gap_ev=9.85
C -8.517 -3.036 -0.516 -0.090 -0.254 0.711
C -7.484 -3.778 0.371 -0.602 0.166 0.057
N -6.272 -4.208 -0.377 -0.701 0.614 0.066
N -5.333 -3.152 -0.432 0.069 -0.981 0.390
C -4.484 -2.878 0.742 0.201 -0.597 0.330
C -2.991 -2.681 0.416 0.321 0.975 -0.024
C -2.132 -3.749 -0.260 -0.586 0.313 0.296
N -2.437 -1.577 0.721 -0.392 -0.458 0.124
C -5.330 -2.453 -1.553 1.092 2.115 -1.514
>>>

Solution >
Properties=species:S:1:pos:R:3:forces:R:3 method="wB97M-V/def2-TZVPD" e_above_lowest_kcal_mol=78.11 e_homo_ev=-7.371 smiles=CCc1c[nH]c2ccccc12.CC orbital_gap_ev=8.21